News from Physical Education

Prep, JLC, 3/4 & 4/5/6

During our PE lessons this term the Preps focused on learning new games and activities. We also started a Perceptual Motor Program, which is a movement-based program that helps younger students improve their eye/hand and eye/foot coordination, fitness, balance, locomotion and eye-tracking skills.

• Crystal structures from another source follow:
┌──
No. 1
Computed PXRD pattern of TiTl8Se6 for CuKα, from a crystal structure in Alexandria, relaxed with GGA-PBE.
Kinematic intensities with the Lorentz-polarization factor, no thermal factor.

Structure:
Lattice parameters (Å, degrees): 8.816 11.426 10.674 90.00 90.00 90.00
Sites, in units of the cell vectors:
Ti  0.000  0.151  0.000
Ti  0.500  0.849  0.500
Tl  0.000  0.691  0.158
Tl  0.000  0.873  0.437
Tl  0.218  0.096  0.701
Tl  0.233  0.287  0.378
Tl  0.238  0.419  0.031
Tl  0.262  0.581  0.531
Tl  0.267  0.713  0.878
Tl  0.282  0.904  0.201
Tl  0.500  0.127  0.937
Tl  0.500  0.309  0.658
Tl  0.718  0.904  0.201
Tl  0.733  0.713  0.878
Tl  0.738  0.581  0.531
Tl  0.762  0.419  0.031
Tl  0.767  0.287  0.378
Tl  0.782  0.096  0.701
Se  0.000  0.125  0.488
Se  0.000  0.312  0.855
Se  0.000  0.458  0.249
Se  0.000  0.970  0.891
Se  0.231  0.166  0.124
Se  0.269  0.834  0.624
Se  0.500  0.030  0.391
Se  0.500  0.542  0.749
Se  0.500  0.688  0.355
Se  0.500  0.875  0.988
Se  0.731  0.834  0.624
Se  0.769  0.166  0.124

Main lines, low angle first (10° ≤ 2θ ≤ 80°):
two_theta	I_rel
26.2	40
26.9	51
27.4	100
30.6	36
32.2	37
32.4	34
33.3	46
40.9	33

No. 2
Computed PXRD pattern of CeSc2TaO8 for CuKα, from a crystal structure in Alexandria, relaxed with GGA-PBE.
Kinematic intensities with the Lorentz-polarization factor, no thermal factor.

Structure:
Lattice parameters (Å, degrees): 4.860 4.860 6.695 90.00 90.00 90.69
Sites, in units of the cell vectors:
Ce  0.000  0.000  0.000
Sc  0.500  0.500  0.260
Sc  0.500  0.500  0.740
Ta  0.000  0.000  0.500
O  0.194  0.806  0.279
O  0.194  0.806  0.721
O  0.295  0.295  0.500
O  0.315  0.315  0.000
O  0.685  0.685  0.000
O  0.705  0.705  0.500
O  0.806  0.194  0.279
O  0.806  0.194  0.721

Main lines, low angle first (10° ≤ 2θ ≤ 80°):
two_theta	I_rel
18.3	79
25.8	63
26.1	61
32.5	100
37.4	30
49.9	43
50.2	42
63.8	26

No. 3
Computed PXRD pattern of Cs6KRb2Cd for CuKα, from a crystal structure in Alexandria, relaxed with GGA-PBE.
Kinematic intensities with the Lorentz-polarization factor, no thermal factor.

Structure:
Lattice parameters (Å, degrees): 9.734 9.735 9.736 90.06 90.07 90.05
Sites, in units of the cell vectors:
Cs  0.000  0.000  0.000
Cs  0.128  0.854  0.461
Cs  0.392  0.331  0.276
Cs  0.522  0.185  0.737
Cs  0.667  0.724  0.608
Cs  0.853  0.460  0.130
K  0.260  0.592  0.868
Rb  0.531  0.862  0.139
Rb  0.990  0.322  0.598
Cd  0.760  0.092  0.369

Main lines, low angle first (10° ≤ 2θ ≤ 80°):
two_theta	I_rel
20.4	100
22.4	100
29.0	16
30.5	32
34.5	20
38.1	23
39.3	46
50.5	23

No. 4
Computed PXRD pattern of TbDy3Sc5 for CuKα, from a crystal structure in Alexandria, relaxed with GGA-PBE.
Kinematic intensities with the Lorentz-polarization factor, no thermal factor.

Structure:
Lattice parameters (Å, degrees): 9.249 9.249 9.249 126.50 126.50 79.07
Sites, in units of the cell vectors:
Tb  0.250  0.750  0.500
Tb  0.750  0.250  0.500
Dy  0.119  0.619  0.738
Dy  0.250  0.250  0.000
Dy  0.381  0.119  0.500
└──


This program gets the students ready to participate in exercise and sport in a greater capacity as they grow older. We also looked at how to play different sports whether that be to sharpen their skills of a certain sport or to learn the sport and develop their game sense. 


We also looked at respecting the rules of each game and making sure we play within the rules and to keep trying to play even if it is really hard at the start. 


JLC have also been having a ball learning new games and sports and learning to be persistent in anything we do. 


Persistence is hard especially when a skill is tricky and hard to get the hang of. I love how JLC keep practising these skills. Watching them master a skill and wanting to show me the skill is a highlight of my day because they get super excited about having learnt a new skill and improving themselves. 


In learning how to play fairly,  we emphasised “How to be a good teammate”. This is a big topic to cover as they will need to work in teams not only in sport but in other areas of life too. Through learning how to be a good teammate, we hope to increase participation in team games as well as an interest in students playing sports outside of school to encourage greater socialisation. 


The Year 3/4 students also experienced new games and sport activities through last term. The point of these experiences was to sharpen their current skills as well as to learn new skills that they will need when participating in Interschool Sport or sports outside of school. 


The main focus for last term was to get the students exposed to many different sports and skills, so they feel confident in their own ability and therefore try different sports to see if they want to continue that sport outside of school or in the future.


Understanding the rules of a game or sport and how to play by them was a big focus last term. The rules of the games and sports taught are structured but are sometimes modified depending on the age of the students being taught.  


When teaching students how to play fairly and how different skill levels impact games, we focused on encouraging them to be aware to lift people up with our words and actions and not destroy their confidence when they are trying something new. 


The Year 4/5/6 students have at this point competed in many sports so we focused on sharpening their skills in a wide variety of sports as well as learning new games to play that emphasised a certain skill. The reason we focused on a wide range of sports and games is because we are looking forward to next term where the students will be asked to come up with lessons that they will teach to their peers. 


In addition to the sports and games we fcoussed on during our PE lessons we also continued to participate in interschool sports and gala days. 


The Sports Gala Day that was held at the end of Term 1, was a fun filled day participating, socialising with and competing against other schools in a range of sports such as tennis and volleyball. 

# The page is interrupted by records of crystals
+++
(1)
Simulated powder diffraction line list
Compound: CeAlSi6Pt2
Radiation: Cu Kα, 1.54184 Å
Structure: a structure optimized by DFT (PBE)
Intensities are scaled so that the largest is 100.

Cell and atoms:
abc: 10.2853 10.2853 10.2853
angles: 27.51 27.51 27.51
Sites, in units of the cell vectors:
Ce (0.0000, 0.0000, 0.0000)
Al (0.5000, 0.5000, 0.5000)
Si (0.1932, 0.3271, 0.7706)
Si (0.2294, 0.8068, 0.6729)
Si (0.3271, 0.7706, 0.1932)
Si (0.6729, 0.2294, 0.8068)
Si (0.7706, 0.1932, 0.3271)
Si (0.8068, 0.6729, 0.2294)
Pt (0.2753, 0.2753, 0.2753)
Pt (0.7247, 0.7247, 0.7247)

Top 10 peaks for 2θ from 10° to 90°, by angle:
3.678 Å, I 100; 2.996 Å, I 75; 2.445 Å, I 44; 2.374 Å, I 35; 2.275 Å, I 43; 2.036 Å, I 39; 1.964 Å, I 20; 1.895 Å, I 28; 1.565 Å, I 19; 1.498 Å, I 25

***

(2)
Simulated powder diffraction line list
Compound: Pm3DyZr2N6
Radiation: Cu Kα, 1.54184 Å
Structure: a structure optimized by DFT (PBE)
Intensities are scaled so that the largest is 100.

Cell and atoms:
abc: 5.9589 5.9589 6.0316
angles: 99.47 99.47 119.99
Sites, in units of the cell vectors:
Pm (0.0000, 0.0000, 0.0000)
Pm (0.3337, 0.6663, 0.0000)
Pm (0.6663, 0.3337, 0.0000)
Dy (0.5000, 0.5000, 0.5000)
Zr (0.1663, 0.8337, 0.5000)
Zr (0.8337, 0.1663, 0.5000)
N (0.0799, 0.4244, 0.2740)
N (0.2292, 0.2292, 0.7231)
N (0.4244, 0.0799, 0.2740)
N (0.5756, 0.9201, 0.7260)
N (0.7708, 0.7708, 0.2769)
N (0.9201, 0.5756, 0.7260)

Top 10 peaks for 2θ from 10° to 90°, by angle:
2.848 Å, I 35; 2.813 Å, I 98; 2.444 Å, I 100; 1.736 Å, I 34; 1.720 Å, I 33; 1.472 Å, I 29; 1.468 Å, I 14; 1.407 Å, I 17; 1.117 Å, I 12; 1.097 Å, I 15

***

(3)
Simulated powder diffraction line list
Compound: NdSc2GeN4
Radiation: Cu Kα, 1.54184 Å
Structure: a structure optimized by DFT (PBE)
Intensities are scaled so that the largest is 100.

Cell and atoms:
abc: 5.8183 5.8183 11.1053
angles: 90.00 90.00 146.54
Sites, in units of the cell vectors:
Nd (0.0979, 0.9021, 0.7500)
Nd (0.9021, 0.0979, 0.2500)
Sc (0.3705, 0.6295, 0.5382)
Sc (0.3705, 0.6295, 0.9618)
Sc (0.6295, 0.3705, 0.0382)
Sc (0.6295, 0.3705, 0.4618)
Ge (0.1641, 0.8359, 0.2500)
Ge (0.8359, 0.1641, 0.7500)
N (0.0000, 0.0000, 0.0000)
N (0.0000, 0.0000, 0.5000)
N (0.2658, 0.7342, 0.1188)
N (0.2658, 0.7342, 0.3812)
N (0.4225, 0.5775, 0.7500)
N (0.5775, 0.4225, 0.2500)
N (0.7342, 0.2658, 0.6188)
N (0.7342, 0.2658, 0.8812)

Top 10 peaks for 2θ from 10° to 90°, by angle:
5.553 Å, I 54; 3.083 Å, I 20; 2.780 Å, I 100; 2.776 Å, I 41; 2.702 Å, I 19; 2.428 Å, I 49; 2.270 Å, I 45; 1.967 Å, I 19; 1.760 Å, I 16; 1.435 Å, I 17

***

(4)
Simulated powder diffraction line list
Compound: Ho2ZrBi2N2
Radiation: Cu Kα, 1.54184 Å
Structure: a structure optimized by DFT (PBE)
Intensities are scaled so that the largest is 100.

Cell and atoms:
abc: 8.7829 8.7829 8.7829
angles: 151.99 151.99 40.03
Sites, in units of the cell vectors:
Ho (0.0945, 0.0945, 0.0000)
Ho (0.9055, 0.9055, 0.0000)
Zr (0.5000, 0.5000, 0.0000)
Bi (0.3084, 0.3084, 0.0000)
Bi (0.6916, 0.6916, 0.0000)
+++

At some events, we helped umpire other games and helped to pack up activities for other schools. Unfortunately, we didn’t make it into the finals but I was impressed by the effort and positive attitude shown by our students. 


Mr Jack Cirillo

Physical Education Teacher